== Activity ==
Retype only the last part of the data further below, starting with the line that has "1.713".

== Given ==
Record 1
Entry from OMol25: a molecular structure, C30H22FIrN2OS (ωB97M-V/def2-TZVPD).

Results
2S+1 ... 1
LUMO level ... -6.8 eV
Charge ... +2
Energy relative to the best compared isomer or geometry (same formula, charge and spin) ... 0.0 kJ/mol

Cartesian coordinates (Å):
Ir -0.740 -0.024 0.102
C -2.902 3.369 1.713
C -2.605 2.157 1.080
N -1.359 1.726 0.959
C -0.365 2.478 1.492
C -0.564 3.690 2.142
C -1.895 4.139 2.241
C 0.593 4.361 2.670
C 1.830 3.821 2.567
C 2.039 2.552 1.926
C 3.269 1.876 1.818
C 3.313 0.644 1.208
C 2.148 0.072 0.694
N 0.981 0.701 0.777
C 0.927 1.914 1.384
H -3.935 3.680 1.781
H -3.384 1.533 0.663
H -2.119 5.076 2.734
H 0.458 5.315 3.164
H 2.686 4.340 2.977
H 4.170 2.322 2.219
H 4.241 0.099 1.117
H 2.150 -0.894 0.207
F -2.595 -3.026 5.054
C -2.167 -2.355 3.986
C -1.183 -1.396 4.146
C -0.733 -0.697 3.036
C -1.261 -0.973 1.780
C -2.259 -1.936 1.643
C -2.723 -2.631 2.751
H -0.782 -1.203 5.132
H 0.031 0.055 3.182
H -2.715 -2.144 0.680
H -3.503 -3.376 2.664
O -0.559 -1.662 -1.019
S -0.237 -3.164 -0.686
C -1.706 -4.014 -1.201
C -2.607 -3.444 -2.088
C -3.720 -4.184 -2.458
C -3.910 -5.463 -1.949
C -2.996 -6.014 -1.062
C -1.883 -5.284 -0.672
C 0.938 -3.614 -1.921
C 1.998 -4.401 -1.490
C 2.925 -4.836 -2.428
C 2.786 -4.466 -3.757
C 1.722 -3.665 -4.168
C 0.780 -3.238 -3.251
H -2.444 -2.452 -2.486
H -4.437 -3.762 -3.149
H -4.780 -6.034 -2.246
H -3.152 -7.007 -0.665
H -1.171 -5.701 0.031
H 2.099 -4.672 -0.447
H 3.754 -5.456 -2.118
H 3.511 -4.804 -4.485
H 1.626 -3.385 -5.208
H -0.059 -2.629 -3.559

Cartesian forces (eV/Å) of the 3 atoms listed first:
Ir -0.105 0.209 0.684
C -0.038 0.016 0.014
C 0.041 0.001 -0.048

***

Record 2
Entry from OMol25: a molecular structure, C30H22IN2O10PbS2 at a distorted geometry (ωB97M-V/def2-TZVPD).

Results
2S+1 ... 2
LUMO level (alpha / beta) ... 3.7 / 3.3 eV
Charge ... -2
Energy relative to the best compared isomer or geometry (same formula, charge and spin) ... 40.2 kJ/mol
Expectation value of S² ... 0.771

Cartesian coordinates (Å):
Pb -0.361 -0.044 0.521
I -0.142 -2.764 1.655
C 1.224 -2.185 3.173
C 1.574 -3.088 4.143
C 2.505 -2.740 5.129
C 3.083 -1.502 5.127
C 2.737 -0.544 4.152
C 3.327 0.737 4.136
C 2.993 1.659 3.184
C 2.029 1.338 2.213
C 1.443 0.111 2.212
C 1.769 -0.880 3.149
H 1.134 -4.072 4.142
H 2.765 -3.463 5.889
H 3.818 -1.236 5.878
H 4.060 0.967 4.900
H 3.454 2.639 3.165
H 1.763 2.067 1.463
O -1.781 -2.112 -0.619
N -1.875 -2.108 -1.895
C -1.831 -3.262 -2.577
C -2.016 -3.307 -3.938
C -2.210 -2.126 -4.645
C -2.205 -0.941 -3.947
C -2.056 -0.924 -2.560
S -2.208 0.530 -1.675
H -1.675 -4.135 -1.964
H -2.019 -4.262 -4.436
H -2.370 -2.137 -5.713
H -2.368 0.005 -4.434
O 2.308 3.548 -0.988
C 1.494 2.658 -1.254
O 0.699 2.094 -0.476
C 1.459 2.224 -2.743
C 1.918 3.122 -3.706
C 1.962 2.765 -5.034
C 1.550 1.487 -5.419
C 1.088 0.580 -4.465
C 1.042 0.955 -3.138
N 1.625 1.121 -6.784
O 1.184 0.033 -7.133
O 2.137 1.909 -7.577
H 2.245 4.098 -3.375
H 2.321 3.445 -5.791
H 0.782 -0.410 -4.769
H 0.725 0.259 -2.380
O -2.754 -1.045 3.516
C -2.603 0.116 3.151
O -1.669 0.608 2.459
C -3.651 1.149 3.584
C -3.591 2.432 3.059
C -4.544 3.373 3.399
C -5.568 3.039 4.272
C -5.628 1.761 4.805
C -4.673 0.819 4.462
H -2.784 2.660 2.379
H -4.497 4.370 2.981
H -6.321 3.774 4.536
H -6.430 1.501 5.487
H -4.700 -0.187 4.855
C 3.224 -1.834 -2.300
S 1.885 -2.312 -1.151
O 2.550 -2.897 -0.004
O 1.024 -3.211 -1.894
O 1.253 -1.009 -0.879
H 3.913 -2.660 -2.404
H 3.703 -0.971 -1.863
H 2.762 -1.584 -3.244

Cartesian forces (eV/Å) of the 3 atoms listed first:
Pb -0.144 1.189 0.056
I 0.143 -0.942 1.313
C -0.416 -0.499 -0.197

***

Record 3
Entry from OMol25: a molecular structure, C30H22N5O5Pt (ωB97M-V/def2-TZVPD).

Results
2S+1 ... 1
LUMO level ... 2.3 eV
Charge ... -1

Cartesian coordinates (Å):
Pt -0.169 0.463 -0.364
O -5.643 0.269 0.023
C -5.274 -1.021 -0.196
C -6.250 -2.015 -0.253
C -5.917 -3.337 -0.482
C -4.588 -3.687 -0.669
C -3.619 -2.700 -0.614
C -3.926 -1.361 -0.372
C -2.776 -0.411 -0.311
O -1.623 -0.927 -0.578

== Worked solution ==
C -2.902 3.369 1.713
C -2.605 2.157 1.080
N -1.359 1.726 0.959
C -0.365 2.478 1.492
C -0.564 3.690 2.142
C -1.895 4.139 2.241
C 0.593 4.361 2.670
C 1.830 3.821 2.567
C 2.039 2.552 1.926
C 3.269 1.876 1.818
C 3.313 0.644 1.208
C 2.148 0.072 0.694
N 0.981 0.701 0.777
C 0.927 1.914 1.384
H -3.935 3.680 1.781
H -3.384 1.533 0.663
H -2.119 5.076 2.734
H 0.458 5.315 3.164
H 2.686 4.340 2.977
H 4.170 2.322 2.219
H 4.241 0.099 1.117
H 2.150 -0.894 0.207
F -2.595 -3.026 5.054
C -2.167 -2.355 3.986
C -1.183 -1.396 4.146
C -0.733 -0.697 3.036
C -1.261 -0.973 1.780
C -2.259 -1.936 1.643
C -2.723 -2.631 2.751
H -0.782 -1.203 5.132
H 0.031 0.055 3.182
H -2.715 -2.144 0.680
H -3.503 -3.376 2.664
O -0.559 -1.662 -1.019
S -0.237 -3.164 -0.686
C -1.706 -4.014 -1.201
C -2.607 -3.444 -2.088
C -3.720 -4.184 -2.458
C -3.910 -5.463 -1.949
C -2.996 -6.014 -1.062
C -1.883 -5.284 -0.672
C 0.938 -3.614 -1.921
C 1.998 -4.401 -1.490
C 2.925 -4.836 -2.428
C 2.786 -4.466 -3.757
C 1.722 -3.665 -4.168
C 0.780 -3.238 -3.251
H -2.444 -2.452 -2.486
H -4.437 -3.762 -3.149
H -4.780 -6.034 -2.246
H -3.152 -7.007 -0.665
H -1.171 -5.701 0.031
H 2.099 -4.672 -0.447
H 3.754 -5.456 -2.118
H 3.511 -4.804 -4.485
H 1.626 -3.385 -5.208
H -0.059 -2.629 -3.559

Cartesian forces (eV/Å) of the 3 atoms listed first:
Ir -0.105 0.209 0.684
C -0.038 0.016 0.014
C 0.041 0.001 -0.048

***

Record 2
Entry from OMol25: a molecular structure, C30H22IN2O10PbS2 at a distorted geometry (ωB97M-V/def2-TZVPD).

Results
2S+1 ... 2
LUMO level (alpha / beta) ... 3.7 / 3.3 eV
Charge ... -2
Energy relative to the best compared isomer or geometry (same formula, charge and spin) ... 40.2 kJ/mol
Expectation value of S² ... 0.771

Cartesian coordinates (Å):
Pb -0.361 -0.044 0.521
I -0.142 -2.764 1.655
C 1.224 -2.185 3.173
C 1.574 -3.088 4.143
C 2.505 -2.740 5.129
C 3.083 -1.502 5.127
C 2.737 -0.544 4.152
C 3.327 0.737 4.136
C 2.993 1.659 3.184
C 2.029 1.338 2.213
C 1.443 0.111 2.212
C 1.769 -0.880 3.149
H 1.134 -4.072 4.142
H 2.765 -3.463 5.889
H 3.818 -1.236 5.878
H 4.060 0.967 4.900
H 3.454 2.639 3.165
H 1.763 2.067 1.463
O -1.781 -2.112 -0.619
N -1.875 -2.108 -1.895
C -1.831 -3.262 -2.577
C -2.016 -3.307 -3.938
C -2.210 -2.126 -4.645
C -2.205 -0.941 -3.947
C -2.056 -0.924 -2.560
S -2.208 0.530 -1.675
H -1.675 -4.135 -1.964
H -2.019 -4.262 -4.436
H -2.370 -2.137 -5.713
H -2.368 0.005 -4.434
O 2.308 3.548 -0.988
C 1.494 2.658 -1.254
O 0.699 2.094 -0.476
C 1.459 2.224 -2.743
C 1.918 3.122 -3.706
C 1.962 2.765 -5.034
C 1.550 1.487 -5.419
C 1.088 0.580 -4.465
C 1.042 0.955 -3.138
N 1.625 1.121 -6.784
O 1.184 0.033 -7.133
O 2.137 1.909 -7.577
H 2.245 4.098 -3.375
H 2.321 3.445 -5.791
H 0.782 -0.410 -4.769
H 0.725 0.259 -2.380
O -2.754 -1.045 3.516
C -2.603 0.116 3.151
O -1.669 0.608 2.459
C -3.651 1.149 3.584
C -3.591 2.432 3.059
C -4.544 3.373 3.399
C -5.568 3.039 4.272
C -5.628 1.761 4.805
C -4.673 0.819 4.462
H -2.784 2.660 2.379
H -4.497 4.370 2.981
H -6.321 3.774 4.536
H -6.430 1.501 5.487
H -4.700 -0.187 4.855
C 3.224 -1.834 -2.300
S 1.885 -2.312 -1.151
O 2.550 -2.897 -0.004
O 1.024 -3.211 -1.894
O 1.253 -1.009 -0.879
H 3.913 -2.660 -2.404
H 3.703 -0.971 -1.863
H 2.762 -1.584 -3.244

Cartesian forces (eV/Å) of the 3 atoms listed first:
Pb -0.144 1.189 0.056
I 0.143 -0.942 1.313
C -0.416 -0.499 -0.197

***

Record 3
Entry from OMol25: a molecular structure, C30H22N5O5Pt (ωB97M-V/def2-TZVPD).

Results
2S+1 ... 1
LUMO level ... 2.3 eV
Charge ... -1

Cartesian coordinates (Å):
Pt -0.169 0.463 -0.364
O -5.643 0.269 0.023
C -5.274 -1.021 -0.196
C -6.250 -2.015 -0.253
C -5.917 -3.337 -0.482
C -4.588 -3.687 -0.669
C -3.619 -2.700 -0.614
C -3.926 -1.361 -0.372
C -2.776 -0.411 -0.311
O -1.623 -0.927 -0.578